Markets always drop leading up to elections ... we're a little early for this Presidential one. China was always known to be a bit overheated and it is playing itself out. Add to it some overvaluations and there's a good chance that you are going to have a bubble bursting a bit in the next 2-4 months.
For those that had their Bleenor radar on and could see this coming, it's a great time to watch the market overcorrect itself in the other direction as people panic and sell off allowing the patient people to jump in the market and take advantage of lower valuations.
BRB, Beeks is on the line giving me an update on the frozen concentrated orange juice market ...
Heads going to roll in China. That company had thousands of tons of explosive chemicals they were not licensed to store. 10 executives have been detained by the commies. A hundred fire fighters were killed and they were untrained teenagers, so villagers have got their pitchforks out.
Unrelated to this piece: calculated molecules:
'''
C39H51AsN4O2P2SeSi2V | ωB97M-V/def2-TZVPD

Geometry as ORCA input:
```
! RIJCOSX wB97M-V def2-TZVPD def2/J DEFGRID3
* xyz -2 4
V 0.45209 0.83309 0.39668
C 3.61324 -0.26644 -1.77496
Si 2.52047 -1.66216 -1.13456
C 2.54623 -2.99213 -2.48995
C 3.30353 -2.52010 0.34792
N 0.99273 -0.99531 -0.78136
P -0.42331 -1.67758 -0.41492
C -1.42915 -0.68015 0.46092
P -2.20062 0.61450 -0.24497
N -1.19432 1.67920 -0.88830
Si -1.12644 3.19057 -1.65180
C -0.98453 4.60947 -0.41462
C -2.63001 3.57233 -2.75386
C 0.35478 3.22018 -2.80753
C -3.48614 0.17635 -1.49105
C -4.74540 -0.28330 -1.11072
C -5.66902 -0.69415 -2.06099
C -5.34189 -0.65790 -3.41059
C -4.08685 -0.21177 -3.79969
C -3.16882 0.20431 -2.84519
C -3.25819 1.38634 1.04556
C -3.81124 2.64980 0.86234
C -4.59533 3.23253 1.84758
C -4.83719 2.55145 3.03389
C -4.28588 1.29209 3.22694
C -3.49930 0.71484 2.23802
C -0.06290 -3.18612 0.56495
C 0.25708 -2.98168 1.90760
C 0.68196 -4.03325 2.70107
C 0.77548 -5.31479 2.16822
C 0.44923 -5.53186 0.83779
C 0.03880 -4.46940 0.03864
C -1.18486 -2.36366 -1.93823
C -2.37559 -3.08723 -1.86974
C -3.00328 -3.52617 -3.02461
C -2.44796 -3.24557 -4.26845
C -1.27655 -2.50822 -4.34763
C -0.65474 -2.06300 -3.18705
H 4.67208 -0.44201 -1.55530
H 3.32576 0.68519 -1.32050
H 3.50278 -0.17305 -2.85885
H 3.58885 -3.29177 -2.64698
H 2.14962 -2.64644 -3.44680
H 1.98847 -3.88331 -2.19307
H 4.38487 -2.63728 0.21220
H 2.87016 -3.51895 0.46321
H 3.12778 -1.97132 1.27622
H -1.26088 4.25839 0.58277
H -1.63081 5.45232 -0.68086
H 0.04206 4.97721 -0.34834
H -3.58041 3.51186 -2.21839
H -2.69450 2.88458 -3.60039
H -2.53472 4.58811 -3.15121
H 1.25929 2.97503 -2.24853
H 0.49192 4.20564 -3.26333
H 0.23803 2.48106 -3.60586
H -5.00264 -0.31826 -0.05773
H -6.64618 -1.04524 -1.74818
H -6.06014 -0.98289 -4.15493
H -3.81723 -0.19559 -4.84946
H -2.18584 0.55140 -3.14062
H -3.61166 3.19461 -0.05232
H -5.00706 4.22367 1.69536
H -5.44363 3.00700 3.80876
H -4.46110 0.76136 4.15627
H -3.03364 -0.25604 2.36937
H 0.19129 -1.97714 2.30770
H 0.96492 -3.84530 3.72963
H 1.11230 -6.13911 2.78677
H 0.52438 -6.52750 0.41478
H -0.19633 -4.64531 -1.00424
H -2.81604 -3.28566 -0.89849
H -3.93503 -4.07617 -2.95825
H -2.94149 -3.58483 -5.17219
H -0.85041 -2.26723 -5.31511
H 0.24575 -1.46198 -3.23353
C 4.55500 1.86189 3.00091
As 4.56203 0.75329 1.37968
C 5.72061 1.93690 0.31399
C 6.00768 -0.45752 1.96663
H 5.54479 2.28412 3.18600
H 4.25652 1.23659 3.84422
H 3.84114 2.67655 2.87514
H 6.65223 2.15061 0.84428
H 5.19340 2.87202 0.12631
H 5.94666 1.46241 -0.64292
H 6.85399 0.10471 2.36950
H 6.34340 -1.05960 1.12083
H 5.61173 -1.12839 2.73021
O -0.46110 2.08763 2.19894
C 0.27721 1.45642 2.95523
C 0.38224 1.68509 4.45066
C 1.38820 0.62332 4.87222
C 1.79822 -0.04720 3.55224
O 2.63892 -0.93294 3.50326
N 1.10854 0.48429 2.50444
H -0.60437 1.58613 4.90467
H 0.72757 2.70613 4.61806
H 0.96739 -0.14119 5.52694
H 2.27872 1.02292 5.35818
Se 3.11684 5.14532 0.69431
C 2.32705 3.54286 0.43525
N 1.78872 2.52745 0.26397
*
```
'''
Experts theorize the untrained firefighter recruits caused the secondary explosions by shooting their water hoses all over the hot spot.
Markets always drop leading up to elections ... we're a little early for this Presidential one. China was always known to be a bit overheated and it is playing itself out. Add to it some overvaluations and there's a good chance that you are going to have a bubble bursting a bit in the next 2-4 months.
For those that had their Bleenor radar on and could see this coming, it's a great time to watch the market overcorrect itself in the other direction as people panic and sell off allowing the patient people to jump in the market and take advantage of lower valuations.
BRB, Beeks is on the line giving me an update on the frozen concentrated orange juice market ...
Terrible analysis. Election?
Growth is spotty at home, shitastic abroad, and interest rates are going up.
but shop around. I hear there is a new Bass Pro Shop in Tacoma.
For those that had their Bleenor radar on and could see this coming, it's a great time to watch the market overcorrect itself in the other direction as people panic and sell off allowing the patient people to jump in the market and take advantage of lower valuations.
=====
DFT (wB97M-V/def2-TZVPD) results for a 2-piece molecular cluster, C5H11NO2 overall at a distorted geometry.

Calculated values
Energy above the lowest of the compared OMol25 structures with the same formula, charge and spin (eV): 3.506
Energy (Ha): -402.2493
E_HOMO (eV): -8.39
HOMO-LUMO gap (eV): 8.9

The geometry in ORCA input format:
```
! RIJCOSX wB97M-V def2-TZVPD def2/J DEFGRID3
* xyz 0 1
C 0.863 0.510 0.170
C -2.359 -1.814 0.287
C 1.813 0.596 -0.987
C 1.093 1.462 1.310
N 0.267 -0.731 0.502
C -0.755 0.103 -0.157
O -2.271 -2.184 -0.878
O -0.977 0.101 -1.509
H -1.469 -0.718 -1.726
H 0.526 -1.498 -0.113
H -1.788 -2.294 1.097
H -3.210 -1.197 0.629
H -1.374 0.749 0.458
H 2.673 -0.059 -0.824
H 1.313 0.263 -1.901
H 2.162 1.616 -1.147
H 1.002 2.495 0.973
H 2.105 1.327 1.701
H 0.386 1.272 2.115
*
```

DFT (wB97M-V/def2-TZVPD) results for C5H11NO2 as an isolated structure at a distorted geometry.

Calculated values
Energy above the lowest of the compared OMol25 structures with the same formula, charge and spin (eV): 3.947
Energy (Ha): -402.2331
E_HOMO (eV): -8.02
HOMO-LUMO gap (eV): 7.9

The geometry in ORCA input format:
```
! RIJCOSX wB97M-V def2-TZVPD def2/J DEFGRID3
* xyz 0 1
C 0.381 -0.437 -0.134
C -0.841 1.061 1.570
C 0.272 -0.735 -1.627
C 1.836 -0.213 0.275
C -0.444 0.839 0.176
N -2.066 0.658 0.125
O -0.177 -1.532 0.621
O -0.037 1.958 -0.360
H 0.344 -2.325 0.439
H -2.365 -0.269 -0.149
H -2.460 1.498 -0.283
H -1.126 2.069 1.847
H -0.656 0.349 2.373
H -0.762 -0.958 -1.902
H 0.613 0.122 -2.211
H 0.881 -1.605 -1.887
H 2.244 0.660 -0.235
H 1.917 -0.055 1.353
H 2.445 -1.082 0.009
*
```

DFT (wB97M-V/def2-TZVPD) results for one molecule with the formula C5H11NO2 at a distorted geometry.

Calculated values
Energy above the lowest of the compared OMol25 structures with the same formula, charge and spin (eV): 2.589
Energy (Ha): -402.2830
E_HOMO (eV): -8.54
HOMO-LUMO gap (eV): 9.4

The geometry in ORCA input format:
```
! RIJCOSX wB97M-V def2-TZVPD def2/J DEFGRID3
* xyz 0 1
C -1.051 -1.956 1.366
N -1.007 -0.770 0.524
C 0.083 0.165 0.773
C 0.276 1.331 -0.183
C -0.040 1.201 -1.667
O -0.973 2.140 -2.199
C 1.489 -0.531 0.907
O 1.682 -1.688 0.662
H -0.941 -1.883 2.444
H -2.020 -2.461 1.201
H -0.290 -2.709 1.023
H -1.199 -0.947 -0.447
H -0.108 0.619 1.779
H -0.458 2.088 0.157
H 1.289 1.757 -0.178
H -0.496 0.147 -1.912
H 0.775 1.312 -2.363
H -1.521 2.458 -1.470
H 2.243 0.133 1.353
*
```

DFT (wB97M-V/def2-TZVPD) results for one molecule with the formula C5H11NO2 at a distorted geometry.

Calculated values
Energy above the lowest of the compared OMol25 structures with the same formula, charge and spin (eV): 1.628
Energy (Ha): -402.3183
E_HOMO (eV): -9.22
HOMO-LUMO gap (eV): 9.9

The geometry in ORCA input format:
```
! RIJCOSX wB97M-V def2-TZVPD def2/J DEFGRID3
* xyz 0 1
C -0.738 0.419 -0.608
C -1.743 -0.624 -0.107
C 0.672 0.361 0.097
C 1.747 -0.462 -0.757
C 0.641 -0.257 1.502
H -0.778 2.536 -0.563
H -2.028 1.900 0.372
H -0.764 0.243 -1.651
H 1.013 1.489 0.144
=====
BRB, Beeks is on the line giving me an update on the frozen concentrated orange juice market ...
Experts theorize the untrained firefighter recruits caused the secondary explosions by shooting their water hoses all over the hot spot.
Growth is spotty at home, shitastic abroad, and interest rates are going up.
There needs to be a repricing of assets.